-- To do --
Could you work out how many lines further down have the word "Pb2" in them; a number is enough?
-- Material --
-- begin --
# MgTe4Pb6Br4O12 PBE optimized geometry
# **M_tot**: 0.0 μB per formula unit
# **E_form (uncorrected)**: -27.94 eV/f.u.
# **Calculated volume**: 1154.3 Å³ per cell
data_MgTe4Pb6Br4O12
_symmetry_space_group_name_H-M 'C 1 2 1'
_symmetry_Int_Tables_number 5
_symmetry_space_group_name_Hall 'C 2y'
_cell_length_a 18.052
_cell_length_b 5.862
_cell_length_c 11.429
_cell_angle_alpha 90.00
_cell_angle_beta 107.34
_cell_angle_gamma 90.00
loop_
_atom_site_label
_atom_site_fract_x
_atom_site_fract_y
_atom_site_fract_z
_atom_site_occupancy
Mg1 0.000 0.000 0.000 1
Te1 0.098 0.157 0.553 1
Te2 0.130 0.639 0.079 1
Pb1 0.032 0.650 0.697 1
Pb2 0.176 0.181 0.901 1
Pb3 0.249 0.182 0.292 1
Br1 0.043 0.181 0.212 1
Br2 0.186 0.632 0.394 1
O1 0.000 0.373 0.500 1
O2 0.000 0.953 0.500 1
O3 0.115 0.583 0.908 1
O4 0.129 0.378 0.686 1
O5 0.132 0.914 0.677 1
O6 0.207 0.876 0.106 1
O7 0.216 0.402 0.110 1

# RbMgBr3O6 PBE optimized geometry
# **M_tot**: 2.1 μB per formula unit
# **E_form (uncorrected)**: -5.66 eV/f.u.
# **Calculated volume**: 906.6 Å³ per cell
data_RbMgBr3O6
_symmetry_space_group_name_H-M 'C 1 2/c 1'
_symmetry_Int_Tables_number 15
_symmetry_space_group_name_Hall '-C 2yc'
_cell_length_a 11.803
_cell_length_b 7.242
_cell_length_c 10.880
_cell_angle_alpha 90.00
_cell_angle_beta 102.90
_cell_angle_gamma 90.00
loop_
_atom_site_label
_atom_site_fract_x
_atom_site_fract_y
_atom_site_fract_z
_atom_site_occupancy
Rb1 0.000 0.033 0.250 1
Mg1 0.250 0.250 0.000 1
Br1 0.164 0.398 0.749 1
Br2 0.250 0.250 0.500 1
O1 0.094 0.322 0.870 1
O2 0.196 0.137 0.161 1
O3 0.249 0.489 0.588 1

# RbMgBr3O6 PBE optimized geometry
# **M_tot**: 0.3 μB per formula unit
# **E_form (uncorrected)**: -4.23 eV/f.u.
# **Calculated volume**: 1038.7 Å³ per cell
data_RbMgBr3O6
_symmetry_space_group_name_H-M 'C 1 2/c 1'
_symmetry_Int_Tables_number 15
_symmetry_space_group_name_Hall '-C 2yc'
_cell_length_a 14.025
_cell_length_b 5.922
_cell_length_c 13.621
_cell_angle_alpha 90.00
_cell_angle_beta 113.35
_cell_angle_gamma 90.00
loop_
_atom_site_label
_atom_site_fract_x
_atom_site_fract_y
_atom_site_fract_z
_atom_site_occupancy
Rb1 0.000 0.050 0.250 1
Mg1 0.250 0.250 0.500 1
Br1 0.234 0.469 0.771 1
Br2 0.250 0.250 0.000 1
O1 0.152 0.032 0.959 1
O2 0.154 0.462 0.982 1
O3 0.198 0.290 0.331 1

# RbMgBr3O6 PBE optimized geometry
# **M_tot**: 4.0 μB per formula unit
# **E_form (uncorrected)**: -5.13 eV/f.u.
# **Calculated volume**: 1160.1 Å³ per cell
data_RbMgBr3O6
_symmetry_space_group_name_H-M 'C 1 2/c 1'
_symmetry_Int_Tables_number 15
_symmetry_space_group_name_Hall '-C 2yc'
_cell_length_a 7.322
_cell_length_b 12.016
_cell_length_c 13.195
_cell_angle_alpha 90.00
_cell_angle_beta 92.16
_cell_angle_gamma 90.00
loop_
_atom_site_label
_atom_site_fract_x
_atom_site_fract_y
_atom_site_fract_z
_atom_site_occupancy
Rb1 0.000 0.130 0.250 1
Mg1 0.250 0.250 0.500 1
Br1 0.249 0.376 0.283 1
Br2 0.250 0.250 0.000 1
O1 0.011 0.206 0.031 1
O2 0.081 0.486 0.505 1
O3 0.205 0.253 0.650 1

Question: Among the records above, which one has the highest M_tot?
Answer: number 4

Question: Which of these has the highest M_tot?
Answer: number 4

* * * * *

Density functional theory data (PBE+U) for a relaxed BaIrWO6 crystal.

**Fermi-level density of states**: 0.55 states/eV/atom
**Uncorrected energy**: -63.9 eV/cell
**Magnetization**: 1.05 μB/cell
**Calculated volume**: 144.2 Å³/cell

a = 5.380 Å, b = 5.380 Å, c = 5.752 Å
α = 90.00°, β = 90.00°, γ = 120.00°
Atoms (fractional coordinates):
Ba: 0.000 0.000 0.000
Ir: 0.333 0.667 0.500
W: 0.667 0.333 0.500
O: 0.389 0.010 0.690
O: 0.389 0.379 0.310
O: 0.621 0.010 0.310
O: 0.621 0.611 0.690
O: 0.990 0.379 0.690
O: 0.990 0.611 0.310

* * * * *

1.
Compound: ScNbNiSe2
Source: the Alexandria database
Functional: PBE
Structure: relaxed

* uncorrected energy: -28.3 eV/cell
-- stop --
-- Solution --
1